Katherine and Genevieve are The Glasgow Guardian’s new agony aunts!
I lost a lot of friends during the year because I haven’t been able to keep up with people online. I really miss my friends, but I don’t know how to get better at replying to messages and I feel like I’m always behind with people. How do I get better at it? – Claudia
Katherine: I understand this, as someone who is pretty useless at keeping on top of messages, and who really hates the phone and zoom, it can seem to be a chore just to maintain friendships with people who I usually love speaking to. We aren’t meant to have our friendships be based with people online, and there is such a difference with seeing people in person, and it becomes draining at a certain point to keep doing everything online. If possible, organise to meet up and catch up, people will always be happy to do this, and you might be surprised by the enthusiasm. If you can’t, I suggest setting aside time specifically to have a proper conversation, whether through messages, zoom, discord or facebook. I find discord easiest – it is so much less formal, you can play silly games and listen to music, and just pop in when you feel like it. But use whatever platform works for you and your friends, you don’t need to get high tech, maybe a phone call. I also find going for a walk and having a chat on the phone can be the next best thing when you can’t see someone in person. It helps to be doing something, away from the distractions of your laptop or TV, and you can get so much more engaged in the conversation. Just remember, you can’t be expected to be available 24/7, and having disjointed conversations over text is exhausting, so just try and suggest setting aside that time virtually or in person to have an actual catch up. Equally, don’t put pressure on yourself to do more than you can do, and always remember that communication is a two way street; if they aren’t making any effort it shouldn’t all fall on you. Everyone has been in the same boat this past year, and I’m sure they will be keen to hear from you, but just keep in mind how much pressure you put on yourself versus how much you expect from them.
~~~
Record 1
The following is a calculated X-ray diffraction stick pattern of Ho5Al2Sn. It was derived from a crystal structure in Alexandria, relaxed with GGA-PBE, using copper Kα.
Lines closer than 0.1° are merged.

Atomic structure:
```
data_Ho5Al2Sn
_chemical_formula_sum 'Ho10 Al4 Sn2'
_cell_length_a 8.813
_cell_length_b 8.813
_cell_length_c 8.813
_cell_angle_alpha 126.39
_cell_angle_beta 126.39
_cell_angle_gamma 79.25
_symmetry_space_group_name_H-M 'P 1'
_symmetry_Int_Tables_number 1
loop_
_symmetry_equiv_pos_as_xyz
'x,y,z'
loop_
_atom_site_label
_atom_site_type_symbol
_atom_site_fract_x
_atom_site_fract_y
_atom_site_fract_z
Ho1 Ho 0.000 0.000 0.000
Ho2 Ho 0.017 0.517 0.827
Ho3 Ho 0.189 0.017 0.500
Ho4 Ho 0.311 0.811 0.827
Ho5 Ho 0.483 0.311 0.500
Ho6 Ho 0.500 0.500 0.000
Ho7 Ho 0.517 0.689 0.500
Ho8 Ho 0.689 0.189 0.173
Ho9 Ho 0.811 0.983 0.500
Ho10 Ho 0.983 0.483 0.173
Al1 Al 0.126 0.374 0.500
Al2 Al 0.374 0.874 0.248
Al3 Al 0.626 0.126 0.752
Al4 Al 0.874 0.626 0.500
Sn1 Sn 0.250 0.250 0.000
Sn2 Sn 0.750 0.750 0.000
```

Largest 12 diffraction maxima, low angle first, 10 to 90 degrees two-theta:
2θ 25.92, 3.438 Å, I = 51
2θ 30.77, 2.906 Å, I = 37
2θ 31.84, 2.810 Å, I = 19
2θ 32.02, 2.796 Å, I = 100
2θ 34.76, 2.581 Å, I = 48
2θ 35.72, 2.514 Å, I = 63
2θ 51.53, 1.774 Å, I = 20
2θ 53.43, 1.715 Å, I = 14
2θ 53.84, 1.703 Å, I = 19
2θ 56.07, 1.640 Å, I = 27
2θ 66.49, 1.406 Å, I = 14
2θ 66.65, 1.403 Å, I = 14



Record 2
The following is a calculated X-ray diffraction stick pattern of Tb6Ho12Al. It was derived from a crystal structure in Alexandria, relaxed with GGA-PBE, using copper Kα.
Lines closer than 0.1° are merged.

Atomic structure:
```
data_Tb6Ho12Al
_chemical_formula_sum 'Tb6 Ho12 Al1'
_cell_length_a 8.389
_cell_length_b 8.389
_cell_length_c 8.389
_cell_angle_alpha 88.78
_cell_angle_beta 88.78
_cell_angle_gamma 88.78
_symmetry_space_group_name_H-M 'P 1'
_symmetry_Int_Tables_number 1
loop_
_symmetry_equiv_pos_as_xyz
'x,y,z'
loop_
_atom_site_label
_atom_site_type_symbol
_atom_site_fract_x
_atom_site_fract_y
_atom_site_fract_z
Tb1 Tb 0.206 0.758 0.594
Tb2 Tb 0.242 0.406 0.794
Tb3 Tb 0.406 0.794 0.242
Tb4 Tb 0.594 0.206 0.758
Tb5 Tb 0.758 0.594 0.206
Tb6 Tb 0.794 0.242 0.406
Ho1 Ho 0.039 0.936 0.281
Ho2 Ho 0.064 0.719 0.961
Ho3 Ho 0.141 0.486 0.317
Ho4 Ho 0.281 0.039 0.936
Ho5 Ho 0.317 0.141 0.486
Ho6 Ho 0.486 0.317 0.141
Ho7 Ho 0.514 0.683 0.859
Ho8 Ho 0.683 0.859 0.514
Ho9 Ho 0.719 0.961 0.064
Ho10 Ho 0.859 0.514 0.683
Ho11 Ho 0.936 0.281 0.039
Ho12 Ho 0.961 0.064 0.719
Al1 Al 0.500 0.500 0.500
```

Largest 12 diffraction maxima, low angle first, 10 to 90 degrees two-theta:
2θ 23.53, 3.782 Å, I = 15
2θ 23.93, 3.719 Å, I = 13
2θ 31.41, 2.848 Å, I = 38
2θ 32.02, 2.795 Å, I = 25
2θ 32.33, 2.769 Å, I = 100
2θ 33.59, 2.668 Å, I = 70
2θ 34.02, 2.635 Å, I = 26
2θ 35.58, 2.523 Å, I = 16
2θ 45.97, 1.974 Å, I = 15
2θ 54.14, 1.694 Å, I = 11
2θ 56.52, 1.628 Å, I = 18
2θ 67.70, 1.384 Å, I = 12



Record 3
~~~
Genevieve: In my experience people find it much easier to pick up where they left off, friendship-wise, than to change their relationship with a person who hasn’t done anything wrong. For this reason I highly doubt that you’ve lost the friends you think you’ve lost. It is hard to keep up digital contact when it is the least rewarding form of contact – there’s a reason all those scientific studies say that social media makes people miserable! Everyone has recently experienced loss as well. All of us have lost face-to-face experiences and many of us have lost loved ones. With this in mind, I have found people are very understanding when it comes to people dropping off the radar recently. As for getting better at replying, I think you should find your own rhythm. If everyone knows you take two days to reply, they won’t be surprised when that happens. Don’t force yourself to reply instantly unless you enjoy it (or if it’s urgent of course!). If you’re really struggling, it can be good to give yourself a set hour, or however long you need, to sit and respond to messages. You could do this daily at 7pm, for example, or weekly if you are someone who tends to text less frequently or keeps a smaller circle of friends. I am also a huge advocate of phone calls, even as I struggle to take my own advice! They aren’t as intense as a Zoom but feel much more engaging than sending messages. Even if it seems strange at first to schedule a time to chat on the phone, I credit phone calls with maintaining all of my long-distance friendships over lockdown. My final piece of advice is don’t spend ages drafting messages or emails, you should just fire them off! I learned this when I realised that you can always correct any mistakes afterwards – no one will mind!
I think I love my best friend but they have told me they view me like a sibling. Is it worth telling them or should I try and be mature about it and get over those feelings? – Rem
Katherine: This is a tough one, because it is difficult if they think of you as a sibling – that is a very different dynamic from a romantic one, and one that might be tricky for them to move past. But to be clear, it isn’t an issue of maturity either. It might change the relationship for a while if you tell them, but I think if you are very close friends it is something you could overcome. And telling them may give you better closure one way or another, and prevent you from dwelling on all the maybes and what-ifs. Try and balance it by considering how much you will regret it in the future if you do or don’t tell them. Maybe knowing how you feel could even open their eyes to what could be, but sadly I wouldn’t necessarily count on it, you can’t force feelings where there aren’t any of that kind.
Between two parts of the text: calculated crystals >
# 1
The following is a calculated PXRD pattern of SmPbS3. It was derived from a crystal structure in Alexandria, relaxed with PBE, using Cu Kα, 1.54184 Å.
Kinematic intensities with the Lorentz-polarization factor, no thermal factor.

Structural model:
abc: 8.880 8.880 7.814
angles: 95.46 95.46 28.04
Element x y z (fractional)
Sm: 0.159 0.159 0.359
Sm: 0.841 0.841 0.641
Pb: 0.401 0.401 0.093
Pb: 0.599 0.599 0.907
S: 0.186 0.186 0.007
S: 0.321 0.321 0.409
S: 0.446 0.446 0.749
S: 0.554 0.554 0.251
S: 0.679 0.679 0.591
S: 0.814 0.814 0.993

Main lines, by angle (10 to 80 degrees two-theta):
2θ/deg  I/Imax
20.72  463
24.19  437
24.45  1000
26.08  266
27.75  198
33.41  262
36.26  402
40.53  265
42.00  223
45.02  302



# 2
The following is a calculated PXRD pattern of SnTePb4S4. It was derived from a crystal structure in Alexandria, relaxed with PBE, using Cu Kα, 1.54184 Å.
Kinematic intensities with the Lorentz-polarization factor, no thermal factor.

Structural model:
abc: 17.732 17.732 17.732
angles: 13.91 13.91 13.91
Element x y z (fractional)
Sn: 0.000 0.000 0.000
Te: 0.296 0.296 0.296
Pb: 0.192 0.192 0.192
Pb: 0.396 0.396 0.396
Pb: 0.590 0.590 0.590
Pb: 0.794 0.794 0.794
S: 0.095 0.095 0.095
S: 0.493 0.493 0.493
S: 0.697 0.697 0.697
S: 0.891 0.891 0.891

Main lines, by angle (10 to 80 degrees two-theta):
2θ/deg  I/Imax
25.39  600
27.55  49
29.40  1000
42.07  739
49.78  299
52.16  256
61.01  116
67.21  70
69.16  315
76.91  190

~~~~~

(1)
Structure and computed powder XRD pattern of BaYF5 (a GGA-PBE-relaxed structure; λ = 1.5418 Å (Cu Kα)).

Structure:
```
BaYF5
1.0
5.460 0.000 0.000
0.000 5.627 0.000
0.000 0.000 15.502
Ba Y F
4 4 20
Cartesian
0.022 0.329 6.136 Ba
2.707 5.297 13.887 Ba
2.752 2.484 9.367 Ba
5.437 3.143 1.615 Ba
0.102 5.289 10.435 Y
2.628 0.338 2.684 Y
2.832 3.151 5.067 Y
5.358 2.476 12.818 Y
0.172 0.522 13.754 F
0.723 3.423 14.618 F
0.758 0.406 1.546 F
1.316 1.321 11.414 F
1.319 4.008 11.884 F
1.411 1.619 4.133 F
1.414 4.306 3.663 F
1.972 5.220 9.297 F
2.007 2.204 6.867 F
2.558 5.105 6.003 F
2.901 2.292 1.748 F
3.452 5.017 0.884 F
3.487 2.407 13.956 F
4.046 1.493 4.088 F
4.048 4.432 3.618 F
4.141 1.195 11.369 F
4.144 4.134 11.839 F
4.702 3.220 6.205 F
4.737 0.610 8.635 F
5.288 3.335 9.499 F
```

Most intense lines, 2θ = 10–90°, low angle first:
2theta  d/Å  intensity
22.95  3.876  34
23.42  3.799  100
23.71  3.753  43
25.47  3.497  27
27.95  3.192  30
28.59  3.122  50
32.81  2.730  25
40.42  2.232  29
43.63  2.075  25
44.13  2.052  28
46.35  1.959  20
52.95  1.729  23

(2)
Structure and computed powder XRD pattern of SrGa4 (a GGA-PBE-relaxed structure; λ = 1.5418 Å (Cu Kα)).

Structure:
```
SrGa4
1.0
-2.244 2.244 5.424
2.244 -2.244 5.424
2.244 2.244 -5.424
Sr Ga
1 4
Cartesian
0.000 0.000 0.000 Sr
2.244 0.000 2.712 Ga
0.000 0.000 4.152 Ga
0.000 0.000 6.696 Ga
0.000 2.244 2.712 Ga
```

Most intense lines, 2θ = 10–90°, low angle first:
2theta  d/Å  intensity
31.78  2.816  54
32.70  2.739  100
40.19  2.244  66
43.92  2.062  29
On the other hand, if you feel like you can move past the feelings without telling them, and this seems most reasonable to you, then by all means do. Not because this is the right or mature way to handle it (there is no right way) but if you feel like this is possible for you, it may be the simplest method. It sounds as though you have a very close relationship, and so on your end I would consider if what you have now is enough for you when deciding what to do. It can be confusing to know where the line is drawn in situations like this, but maybe you will feel content and happy with the platonic love you have in the end.
Genevieve: I think there are a few factors to consider with this one. Do you fall in love quite easily, with some regularity? If so, could this be a lockdown-induced boredom-crush? On the other hand, prolonged isolation and time to think can clarify for us who we do actually feel for, and this can be unexpected. It seems more likely, however, that you do have strong feelings for this person if you are debating changing a friendship that means so much to you just to get an answer. There are people in my past who I regret not asking if they felt the same way, and instead I pined in secret, and now I will never know if it could have led to something. My advice to my past self is the same as the advice I give you now: tell them! If you have a strong friendship, as I’m sure you do, it will be able to withstand this with only temporary weirdness. I don’t think a sibling comparison is anything to worry about unless it is a direct response to a confession of romantic feelings! It could actually be intended as an expression of closeness. I will say though, that this is a very emotionally painful situation to be in, and I wish you the best of luck with it! Fingers crossed!
Got a question you’d like Katherine or Genevieve to answer? Submit it here.